The Royal Gibraltar Regiment has concluded its annual firing camp, Ex Jebel Tarik, in the UK and is now returning to Gibraltar after a successful and productive training exercise.
The Ministry of Defence say that the Regiment’s participation in Ex Jebel Tarik reaffirms its commitment to readiness, preparedness, and excellence in defence.
From February 27 to March 28, the Royal Gibraltar Regiment engaged in intensive training, marksmanship drills, tactical exercises, and team-building activities as part of Ex Jebel Tarik.
The firing camp provided an invaluable opportunity for the Regiment’s personnel to enhance their skills, assess their capabilities, and strengthen camaraderie within the unit.
Commanding Officer of the Royal Gibraltar Regiment, Lieutenant Colonel Matt Moore, expressed his pride in the performance and dedication of all personnel during Ex Jebel Tarik. He commended the Regiment for its professionalism, discipline, and commitment to achieving operational readiness and excellence.
You can read more on this here.
Reading the headline you’d think they crossed the water to Morocco, when actually they flew to exotic Hythe and Lydd ranges as was reported in feb
“”The Royal Gibraltar Regiment is gearing up for its annual training exercise, Jebel Tarik, to be held on the ranges of Hythe and Lydd in Folkstone, United Kingdom.””
I wonder if they tabbed back from the ranges up Hospital Hill?
Anybody any idea of the regiments numbers and capabilities?
_Inserted here: crystal structures_
MnInFe2 at its PBEsol-relaxed geometry. Source: Alexandria via LeMat-Bulk, functional meta-GGA SCAN.

Computed properties:
Energy relative to the elements ... 0.16 eV per atom
Total DFT energy (no corrections) ... -21.82 eV/atom
Density of states at the Fermi level ... 2.948 states/eV/f.u.
M_tot ... 2.00 μB per atom

a b c (Å): 3.079 4.195 4.852
angles (deg): 115.67 108.50 90.00
Site moments in Bohr magnetons follow the coordinates.
Fractional coordinates of all 4 atoms:
Fe (0.234, 0.234, 0.469)  2.69
Fe (0.766, 0.766, 0.531)  2.69
In (0.000, 0.500, 0.000)  -0.21
Mn (0.500, 0.000, 0.000)  2.97

~~~~~

[1]
A plane-wave DFT calculation with PBE was carried out for crystalline TaBe4Pb at its relaxed geometry.

symmetry	F-43m
formation enthalpy at 0 K	0.459	eV per atom
VASP energy	-4.62	eV/atom

POSCAR file:
```
TaBe4Pb
1.0
0.000 3.383 3.383
3.383 0.000 3.383
3.383 3.383 0.000
Ta Be Pb
1 4 1
Cartesian
0.000 0.000 0.000
2.486 4.280 4.280
4.280 4.280 2.486
4.280 2.486 4.280
2.486 2.486 2.486
5.075 5.075 5.075
```

---

[2]
A plane-wave DFT calculation with PBE was carried out for crystalline Na3PaTi2Te6 at its relaxed geometry.

symmetry	C2/m
raw formation energy	-9.98	eV per formula unit
VASP energy	-4.84	eV/atom

POSCAR file:
```
Na3PaTi2Te6
1.0
-7.152 0.285 -0.645
3.662 -5.417 -2.983
0.415 -2.372 7.708
Na Pa Ti Te
3 1 2 6
Cartesian
2.183 -5.713 1.236
-5.257 -1.791 2.844
-1.537 -3.752 2.040
0.000 0.000 0.000
0.194 -3.588 -2.233
-3.684 -1.544 -1.395
-4.165 -4.671 3.661
-2.409 -4.173 -0.966
1.091 -2.833 0.419
-0.400 -6.656 2.847
-0.665 -3.331 5.046
-2.674 -0.848 1.233
```

---

[3]
A plane-wave DFT calculation with PBE was carried out for crystalline GdTmTc4 at its relaxed geometry.

symmetry	F-43m
formation enthalpy at 0 K	-0.137	eV per atom
VASP energy	-10.14	eV/atom

POSCAR file:
```
GdTmTc4
1.0
-3.149 4.199 -1.266
-5.025 -0.837 -1.788
-4.221 1.248 3.126
Gd Tm Tc
1 1 4
Cartesian
-3.099 1.152 0.018
0.000 0.000 0.000
-5.636 2.257 -1.519
-5.233 3.300 0.940
-7.748 2.882 0.045
-6.172 0.781 0.679
```

---

Look up the VASP energy of the second one. -4.84 eV/atom

---

What is the VASP energy in the first record? -4.62 eV/atom

---

What is the formula in the first record? TaBe4Pb

~~~~~

1.
VASP calculation (GGA-PBE) on an optimized crystal structure of Tl2SbMo.

Geometry as CIF:
```
data_Tl2SbMo
_cell_length_a 3.323
_cell_length_b 3.323
_cell_length_c 9.065
_cell_angle_alpha 90.00
_cell_angle_beta 90.00
_cell_angle_gamma 90.00
_symmetry_space_group_name_H-M 'P 4 m m'
_symmetry_Int_Tables_number 99
_symmetry_space_group_name_Hall 'P 4 -2'
loop_
_atom_site_label
_atom_site_fract_x
_atom_site_fract_y
_atom_site_fract_z
Tl1 0.000 0.000 0.000
Tl2 0.500 0.500 0.300
Sb1 0.500 0.500 0.685
Mo1 0.000 0.000 0.518
```

Summary:
Calculated total energy: -4.607 eV per atom
Excess energy over the best structure of this formula in the dataset: 0.006 eV/atom
Uncorrected formation energy: 0.315 eV/atom

2.
Off my head, an
HQ Coy, ( including Thomson Battery with Light Gun )
B and G Companies, ( B is reservist )
I Force Support Company, ( Snipers, GPMG )
Band of RGR.
Might have changed.
I also recall they’re linked to the RAR.
Thank you!
Army website gives some basic info. Unit active since 1939 but has antecedents – switched from artillery to light role infantry in 1991. Location is Devil’s Tower Camp, Gib. Nickname – The Barbarians. Current deployment (out of date?) showing as: ‘Bahrain: Supporting the Royal Navy’s presence in the Middle East’. Past deployments: Partnering Moroccan Armed Forces, Preparing Gambian UN Forces Under ‘Skills’: ‘The Barbarians have a pedigree of working in partnership with other nations forces. At home we provide the UK with a Forward Mounting base in the Mediterranean: Security of Gibraltar Dismounted Close-Combat Mentoring and Training Peace Support Operations… Read more »
Thanks…I would think that their primary purpose is defence of Gibraltar (potentially v much needed) but I suppose I was wondering if things went really t@#ts up, would much support they could give in a hostile war zone?
I did read years ago there were suggestions that they could take on a greater role beyond defence of the rock, like providing a platoon/sections to other deployments.
They have deployed to Afghan etc but as Individuals. Unlike other OT units they’re also aligned to the British Army’s infantry divisions (aligned to Queens Div) so their NCO’s have spots in Brecon etc. Functionally it is a normal British Infantry Battalion, just with a few quirks (it has light guns instead of mortars, a reservist coy and for some reason it’s specialists are in a rifle coy instead of their own one). They definitely should play a bigger role in defence. They also have a relatively bad reputation in the Infantry, in part because they rarely leave Gibraltar for… Read more »
Thanks Dern. Queens Division thus the RAR link I’d read of.
Any idea of number? I assume smaller than a usual LI Bn.
They seem to be an underutilized asset that should play a greater role.
I don’t think they’re much smaller than a LI Btn, it’s still 3 Rifle Coys, a HQ and a Support element.
In which case, they defo need to be used more.
Yes, and unlike the Bermuda Regiment they’re actually part of the British Army.
Side note, I just noticed that Lancs, Scots, and Rifles all claim “Ranger” as one of their roles on the Infantry website. Like: guys, it’s a different capbadge from you, get over yourselves.
I looked at that last night after you mentioned.
Yes, they seem to see it as a role like AI,LMI,LI than the Regiment it has become. Assume resentment that they all lost Bns when Rangers formed.
That, can’t let it go, and I think it’s a recruitment ploy. Clicking through they don’t outright state it, but they do imply that you have to join their battalions to be a Ranger (even implying you can join straight off civie street).
Both of which are untrue.